-- Assignment --
What is needed: start at the top of the contents further below and echo each line, ending with the one that has "2.82 -0.60".
-- Excerpt --
-- begin --
No. 1
The following is a DFT calculation (ωB97M-V/def2-TZVPD) of a 16-piece molecular cluster, C56H127N4O22S5 overall in a non-equilibrium geometry.

Multiplicity ... 2
HOMO (spin up / spin down) ... -1.565 / -8.511 eV

Geometry as XYZ:
```
214
C56H127N4O22S5 (ωB97M-V/def2-TZVPD)
C -0.94 -0.51 3.43
C -1.26 0.71 2.58
C -1.20 0.72 1.09
C 0.25 0.89 0.57
N 0.42 0.67 -0.96
C 0.16 -0.76 -1.42
C 1.14 -1.06 -2.60
C 2.16 0.12 -2.67
C 1.97 0.85 -1.34
C -0.38 1.70 -1.77
H -1.31 -0.59 4.45
H 0.13 -0.69 3.31
H -1.41 -1.37 2.96
H -0.86 1.62 3.02
H -2.31 0.84 2.81
H -1.88 1.42 0.61
H -1.52 -0.29 0.80
H 0.81 0.10 1.07
H 0.62 1.88 0.83
H -0.89 -0.65 -1.69
H 0.37 -1.39 -0.55
H 0.62 -1.05 -3.55
H 1.62 -2.03 -2.47
H 1.98 0.79 -3.51
H 3.13 -0.39 -2.62
H 2.26 1.90 -1.40
H 2.51 0.43 -0.49
H -1.44 1.58 -1.54
H -0.30 1.57 -2.85
H 0.03 2.62 -1.34
C 3.37 4.78 -2.50
S 1.60 5.27 -2.51
O 0.78 4.47 -3.53
C 1.92 6.98 -3.23
H 3.84 4.95 -3.47
H 3.45 3.71 -2.30
H 3.83 5.28 -1.64
H 0.95 7.44 -3.44
H 2.39 6.86 -4.21
H 2.57 7.54 -2.56
C 2.71 1.07 3.60
S 3.61 -0.54 3.36
O 2.51 -1.52 2.96
C 4.62 0.06 1.94
H 2.57 1.69 2.71
H 3.30 1.65 4.31
H 1.78 0.86 4.13
H 4.11 0.31 1.01
H 5.22 -0.82 1.69
H 5.27 0.90 2.18
C -1.17 -1.50 -6.19
S -2.72 -0.54 -6.30
O -3.79 -1.40 -6.90
C -3.12 -0.51 -4.54
H -0.78 -1.88 -7.14
H -1.40 -2.35 -5.56
H -0.35 -0.91 -5.79
H -4.00 0.03 -4.20
H -2.29 -0.08 -3.97
H -3.15 -1.53 -4.15
C -5.18 1.13 0.58
S -4.45 1.04 -1.10
O -3.47 -0.15 -1.23
C -5.92 0.77 -2.11
H -5.93 1.92 0.56
H -4.40 1.48 1.25
H -5.72 0.23 0.87
H -5.67 0.46 -3.12
H -6.52 1.67 -2.24
H -6.64 0.03 -1.74
C 2.94 4.61 3.05
S 2.83 4.49 1.21
O 2.93 3.03 0.72
C 0.98 4.88 1.14
H 2.30 3.99 3.68
H 2.85 5.64 3.39
H 3.90 4.25 3.40
H 0.67 5.32 0.19
H 0.69 5.73 1.76
H 0.34 4.08 1.51
C 0.13 1.60 6.68
O 1.13 2.34 6.60
N -0.36 1.01 7.80
C -1.40 0.00 7.70
C 0.19 1.25 9.14
H -0.51 1.32 5.82
H -1.08 -0.99 8.02
H -1.71 -0.25 6.69
H -2.37 0.26 8.13
H 0.41 0.34 9.70
H 1.13 1.78 9.04
H -0.38 1.84 9.86
C 5.71 -1.73 -1.18
O 5.09 -0.68 -1.00
N 5.27 -2.92 -0.76
C 4.06 -3.09 0.04
C 5.93 -4.23 -1.00
H 6.68 -1.82 -1.69
H 3.20 -3.35 -0.57
H 3.89 -2.15 0.57
H 4.28 -3.83 0.81
H 6.18 -4.84 -0.13
H 5.32 -4.79 -1.71
H 6.95 -4.14 -1.38
C -0.49 -4.28 -3.71
O -1.73 -4.24 -3.55
N 0.29 -4.64 -2.64
C -0.23 -4.57 -1.24
C 1.71 -4.94 -2.72
H 0.02 -4.22 -4.68
H -0.29 -5.58 -0.82
H -1.26 -4.21 -1.23
H 0.35 -3.95 -0.56
H 2.04 -5.04 -3.75
H 2.25 -4.12 -2.24
H 1.89 -5.79 -2.06
O 6.33 -0.09 -6.83
C 6.98 -0.49 -5.87
O 6.81 -0.08 -4.50
C 5.67 0.57 -4.09
C 6.20 1.68 -3.13
C 8.35 -1.29 -6.11
H 4.99 -0.12 -3.59
H 4.99 0.94 -4.85
H 5.45 2.42 -2.84
H 7.05 2.24 -3.52
H 6.52 1.13 -2.25
H 9.10 -1.22 -5.32
H 8.80 -1.01 -7.06
H 8.02 -2.32 -6.17
O 0.02 1.78 -5.49
C 0.71 2.38 -6.36
O 0.34 2.37 -7.62
C -0.76 1.50 -8.01
C -0.83 1.59 -9.52
C 2.02 3.17 -6.10
H -1.65 1.81 -7.47
H -0.51 0.50 -7.66
H -1.68 0.99 -9.84
H 0.12 1.17 -9.84
H -0.93 2.57 -9.99
H 2.59 3.25 -7.03
H 2.65 2.69 -5.37
H 1.78 4.17 -5.73
O 3.05 0.29 -6.19
C 2.82 -0.60 -7.03
O 2.65 -0.43 -8.35
C 3.06 0.84 -8.87
C 3.15 0.79 -10.41
C 2.93 -2.04 -6.59
H 4.05 1.18 -8.55
H 2.40 1.64 -8.55
H 3.65 1.56 -10.99
H 2.10 0.74 -10.70
H 3.71 -0.10 -10.69
H 3.34 -2.00 -5.58
H 3.58 -2.65 -7.22
H 1.92 -2.45 -6.61
O -2.05 -5.06 1.97
C -1.34 -4.03 1.88
O -1.69 -2.99 1.16
C -2.94 -2.90 0.49
C -4.09 -2.48 1.42
C -0.10 -3.92 2.72
H -3.25 -3.81 -0.03
H -2.85 -2.11 -0.24
H -4.60 -3.41 1.67
H -4.85 -1.82 0.98
H -3.80 -2.09 2.39
H 0.76 -3.74 2.08
H 0.22 -4.80 3.26
H -0.16 -3.05 3.38
O -2.70 2.53 5.46
C -3.40 3.45 5.00
O -4.03 4.38 5.68
C -3.74 4.70 7.02
C -4.71 5.77 7.46
C -3.54 3.70 3.52
H -2.70 5.03 7.06
H -3.91 3.78 7.58
H -4.76 6.70 6.90
H -4.57 6.00 8.51
H -5.67 5.28 7.31
H -3.85 2.74 3.11
H -2.59 3.97 3.05
H -4.27 4.51 3.41
O -5.36 0.91 6.71
C -5.09 -0.23 6.23
O -5.18 -1.45 6.85
C -5.71 -1.47 8.15
C -5.63 -2.93 8.70
C -4.51 -0.29 4.87
H -6.73 -1.10 8.11
H -5.11 -0.91 8.87
H -5.94 -3.10 9.73
H -4.60 -3.28 8.81
H -6.18 -3.65 8.10
H -5.15 -0.97 4.31
H -3.50 -0.68 4.99
H -4.47 0.66 4.33
O -2.02 -3.05 5.56
-- stop --
-- Done --
No. 1
The following is a DFT calculation (ωB97M-V/def2-TZVPD) of a 16-piece molecular cluster, C56H127N4O22S5 overall in a non-equilibrium geometry.

Multiplicity ... 2
HOMO (spin up / spin down) ... -1.565 / -8.511 eV

Geometry as XYZ:
```
214
C56H127N4O22S5 (ωB97M-V/def2-TZVPD)
C -0.94 -0.51 3.43
C -1.26 0.71 2.58
C -1.20 0.72 1.09
C 0.25 0.89 0.57
N 0.42 0.67 -0.96
C 0.16 -0.76 -1.42
C 1.14 -1.06 -2.60
C 2.16 0.12 -2.67
C 1.97 0.85 -1.34
C -0.38 1.70 -1.77
H -1.31 -0.59 4.45
H 0.13 -0.69 3.31
H -1.41 -1.37 2.96
H -0.86 1.62 3.02
H -2.31 0.84 2.81
H -1.88 1.42 0.61
H -1.52 -0.29 0.80
H 0.81 0.10 1.07
H 0.62 1.88 0.83
H -0.89 -0.65 -1.69
H 0.37 -1.39 -0.55
H 0.62 -1.05 -3.55
H 1.62 -2.03 -2.47
H 1.98 0.79 -3.51
H 3.13 -0.39 -2.62
H 2.26 1.90 -1.40
H 2.51 0.43 -0.49
H -1.44 1.58 -1.54
H -0.30 1.57 -2.85
H 0.03 2.62 -1.34
C 3.37 4.78 -2.50
S 1.60 5.27 -2.51
O 0.78 4.47 -3.53
C 1.92 6.98 -3.23
H 3.84 4.95 -3.47
H 3.45 3.71 -2.30
H 3.83 5.28 -1.64
H 0.95 7.44 -3.44
H 2.39 6.86 -4.21
H 2.57 7.54 -2.56
C 2.71 1.07 3.60
S 3.61 -0.54 3.36
O 2.51 -1.52 2.96
C 4.62 0.06 1.94
H 2.57 1.69 2.71
H 3.30 1.65 4.31
H 1.78 0.86 4.13
H 4.11 0.31 1.01
H 5.22 -0.82 1.69
H 5.27 0.90 2.18
C -1.17 -1.50 -6.19
S -2.72 -0.54 -6.30
O -3.79 -1.40 -6.90
C -3.12 -0.51 -4.54
H -0.78 -1.88 -7.14
H -1.40 -2.35 -5.56
H -0.35 -0.91 -5.79
H -4.00 0.03 -4.20
H -2.29 -0.08 -3.97
H -3.15 -1.53 -4.15
C -5.18 1.13 0.58
S -4.45 1.04 -1.10
O -3.47 -0.15 -1.23
C -5.92 0.77 -2.11
H -5.93 1.92 0.56
H -4.40 1.48 1.25
H -5.72 0.23 0.87
H -5.67 0.46 -3.12
H -6.52 1.67 -2.24
H -6.64 0.03 -1.74
C 2.94 4.61 3.05
S 2.83 4.49 1.21
O 2.93 3.03 0.72
C 0.98 4.88 1.14
H 2.30 3.99 3.68
H 2.85 5.64 3.39
H 3.90 4.25 3.40
H 0.67 5.32 0.19
H 0.69 5.73 1.76
H 0.34 4.08 1.51
C 0.13 1.60 6.68
O 1.13 2.34 6.60
N -0.36 1.01 7.80
C -1.40 0.00 7.70
C 0.19 1.25 9.14
H -0.51 1.32 5.82
H -1.08 -0.99 8.02
H -1.71 -0.25 6.69
H -2.37 0.26 8.13
H 0.41 0.34 9.70
H 1.13 1.78 9.04
H -0.38 1.84 9.86
C 5.71 -1.73 -1.18
O 5.09 -0.68 -1.00
N 5.27 -2.92 -0.76
C 4.06 -3.09 0.04
C 5.93 -4.23 -1.00
H 6.68 -1.82 -1.69
H 3.20 -3.35 -0.57
H 3.89 -2.15 0.57
H 4.28 -3.83 0.81
H 6.18 -4.84 -0.13
H 5.32 -4.79 -1.71
H 6.95 -4.14 -1.38
C -0.49 -4.28 -3.71
O -1.73 -4.24 -3.55
N 0.29 -4.64 -2.64
C -0.23 -4.57 -1.24
C 1.71 -4.94 -2.72
H 0.02 -4.22 -4.68
H -0.29 -5.58 -0.82
H -1.26 -4.21 -1.23
H 0.35 -3.95 -0.56
H 2.04 -5.04 -3.75
H 2.25 -4.12 -2.24
H 1.89 -5.79 -2.06
O 6.33 -0.09 -6.83
C 6.98 -0.49 -5.87
O 6.81 -0.08 -4.50
C 5.67 0.57 -4.09
C 6.20 1.68 -3.13
C 8.35 -1.29 -6.11
H 4.99 -0.12 -3.59
H 4.99 0.94 -4.85
H 5.45 2.42 -2.84
H 7.05 2.24 -3.52
H 6.52 1.13 -2.25
H 9.10 -1.22 -5.32
H 8.80 -1.01 -7.06
H 8.02 -2.32 -6.17
O 0.02 1.78 -5.49
C 0.71 2.38 -6.36
O 0.34 2.37 -7.62
C -0.76 1.50 -8.01
C -0.83 1.59 -9.52
C 2.02 3.17 -6.10
H -1.65 1.81 -7.47
H -0.51 0.50 -7.66
H -1.68 0.99 -9.84
H 0.12 1.17 -9.84
H -0.93 2.57 -9.99
H 2.59 3.25 -7.03
H 2.65 2.69 -5.37
H 1.78 4.17 -5.73
O 3.05 0.29 -6.19
C 2.82 -0.60 -7.03